Brief =
Repeat all of the contents below with every line break kept.

Data =
=====
Below is a single C2H5NO2 molecule in a non-equilibrium geometry, with properties calculated with ωB97M-V/def2-TZVPD.

Computed properties:
energy relative to the best compared isomer or geometry (same formula, charge and spin): 28.1 kcal/mol
structure (SMILES): NCC(=O)O
gap between HOMO and LUMO: 0.386 hartree
LUMO level: 0.5678 eV
HOMO level: -9.93 eV
calculated total energy: -284.42254 Ha
net charge: 0

Structure (XYZ):
```
10
C2H5NO2 (ωB97M-V/def2-TZVPD)
C 0.177 0.512 0.420
C -0.622 0.643 -0.806
H 0.311 -1.025 1.529
H 1.460 -1.223 0.240
H 1.057 1.223 0.398
H -0.515 0.771 1.412
H -0.782 -1.246 -0.901
N 0.585 -0.911 0.527
O -0.995 -0.461 -1.424
O -0.676 1.717 -1.394
```
=====

Worked solution =
Below is a single C2H5NO2 molecule in a non-equilibrium geometry, with properties calculated with ωB97M-V/def2-TZVPD.

Computed properties:
energy relative to the best compared isomer or geometry (same formula, charge and spin): 28.1 kcal/mol
structure (SMILES): NCC(=O)O
gap between HOMO and LUMO: 0.386 hartree
LUMO level: 0.5678 eV
HOMO level: -9.93 eV
calculated total energy: -284.42254 Ha
net charge: 0

Structure (XYZ):
```
10
C2H5NO2 (ωB97M-V/def2-TZVPD)
C 0.177 0.512 0.420
C -0.622 0.643 -0.806
H 0.311 -1.025 1.529
H 1.460 -1.223 0.240
H 1.057 1.223 0.398
H -0.515 0.771 1.412
H -0.782 -1.246 -0.901
N 0.585 -0.911 0.527
O -0.995 -0.461 -1.424
O -0.676 1.717 -1.394
```